┌──
Entry 1:
VASP calculation (GGA-PBE) on crystalline CaHoEr2Sb4 at its relaxed geometry.

Lattice parameters (Å, degrees): 7.6382 4.3617 7.6410 90.00 109.05 90.00
Closest atoms and distances in Å follow each position.
Atoms (fractional coordinates):
Ca 0.0000 0.0000 0.0000  6 Sb 3.15-3.16
Ho 0.5000 0.5000 0.0000  6 Sb 3.11-3.12
Er 0.0000 0.5000 0.5000  6 Sb 3.11
Er 0.5000 0.0000 0.5000  6 Sb 3.06-3.07
Sb 0.2525 0.0000 0.7460  3 Er 3.07-3.11, 2 Ho 3.11, 1 Ca 3.15
Sb 0.2573 0.5000 0.2581  3 Er 3.06-3.11, 1 Ho 3.12, 2 Ca 3.16
Sb 0.7427 0.5000 0.7419  3 Er 3.06-3.11, 1 Ho 3.12, 2 Ca 3.16
Sb 0.7475 0.0000 0.2540  3 Er 3.07-3.11, 2 Ho 3.11, 1 Ca 3.15

Computed properties:
Symmetry: P2/m, No. 10
Crystal system: monoclinic
Magnetic moment, μB/f.u.: 0.0
Formation energy from raw total energies, eV/atom: -1.014

---

Entry 2:
VASP calculation (GGA-PBE) on crystalline CaHoErSc at its relaxed geometry.

Lattice parameters (Å, degrees): 5.5865 5.5865 5.5865 60.00 60.00 60.00
Closest atoms and distances in Å follow each position.
Atoms (fractional coordinates):
Ca 0.0000 0.0000 0.0000  4 Ho 3.42, 4 Er 3.42
Ho 0.7500 0.7500 0.7500  4 Sc 3.42, 4 Ca 3.42
Er 0.2500 0.2500 0.2500  4 Sc 3.42, 4 Ca 3.42
Sc 0.5000 0.5000 0.5000  4 Ho 3.42, 4 Er 3.42

Computed properties:
Symmetry: F-43m, No. 216
Energy relative to the elements, kJ/mol of formula units: 73
Crystal system: cubic
Magnetic moment, μB/f.u.: 0.0

---

Entry 3:
VASP calculation (GGA-PBE) on crystalline CaHo2ErSe4 at its relaxed geometry.

Lattice parameters (Å, degrees): 7.0647 4.0629 7.0734 90.00 109.16 90.00
Closest atoms and distances in Å follow each position.
Atoms (fractional coordinates):
Ca 0.0000 0.0000 0.0000  6 Se 2.89-2.90
Ho 0.0000 0.5000 0.5000  6 Se 2.89
Ho 0.5000 0.0000 0.5000  6 Se 2.87
Er 0.5000 0.5000 0.0000  6 Se 2.87-2.88
Se 0.2519 0.0000 0.7504  3 Ho 2.87-2.89, 2 Er 2.88, 1 Ca 2.89
Se 0.2534 0.5000 0.2521  3 Ho 2.87-2.89, 1 Er 2.87, 2 Ca 2.90
Se 0.7466 0.5000 0.7479  3 Ho 2.87-2.89, 1 Er 2.87, 2 Ca 2.90
Se 0.7481 0.0000 0.2496  3 Ho 2.87-2.89, 2 Er 2.88, 1 Ca 2.89

Computed properties:
Symmetry: P2/m, No. 10
Crystal system: monoclinic
Magnetic moment, μB/f.u.: 0.0
Formation energy from raw total energies, eV/atom: -1.780

---

Entry 4:
VASP calculation (GGA-PBE) on crystalline CaHo4Er3Se8 at its relaxed geometry.

Lattice parameters (Å, degrees): 8.1279 8.1279 8.1279 59.94 59.94 59.94
Closest atoms and distances in Å follow each position.
Atoms (fractional coordinates):
Ca 0.0000 0.0000 0.0000  6 Se 2.88
Ho 0.0000 0.0000 0.5000  6 Se 2.88
Ho 0.0000 0.5000 0.0000  6 Se 2.88
Ho 0.5000 0.0000 0.0000  6 Se 2.88
Ho 0.5000 0.5000 0.5000  6 Se 2.86
Er 0.0000 0.5000 0.5000  6 Se 2.86-2.87
Er 0.5000 0.0000 0.5000  6 Se 2.86-2.87
Er 0.5000 0.5000 0.0000  6 Se 2.86-2.87
Se 0.2506 0.2506 0.2506  3 Er 2.86, 3 Ho 2.88
Se 0.2508 0.2508 0.7479  3 Ho 2.86-2.88, 2 Er 2.87, 1 Ca 2.88
Se 0.2508 0.7479 0.2508  3 Ho 2.86-2.88, 2 Er 2.87, 1 Ca 2.88
Se 0.2521 0.7492 0.7492  3 Ho 2.86-2.88, 2 Er 2.87, 1 Ca 2.88
Se 0.7479 0.2508 0.2508  3 Ho 2.86-2.88, 2 Er 2.87, 1 Ca 2.88
Se 0.7492 0.2521 0.7492  3 Ho 2.86-2.88, 2 Er 2.87, 1 Ca 2.88
Se 0.7492 0.7492 0.2521  3 Ho 2.86-2.88, 2 Er 2.87, 1 Ca 2.88
Se 0.7494 0.7494 0.7494  3 Er 2.86, 3 Ho 2.88

Computed properties:
Symmetry: R-3m, No. 166
Crystal system: trigonal
Magnetic moment, μB/f.u.: 0.0
Formation energy from raw total energies, eV/atom: -1.739

---

Entry 5:
VASP calculation (GGA-PBE) on crystalline Ca2HoErSe4 at its relaxed geometry.

Lattice parameters (Å, degrees): 7.0821 4.0923 7.2074 90.00 109.17 90.00
Closest atoms and distances in Å follow each position.
Atoms (fractional coordinates):
Ca 0.0000 0.0000 0.0000  6 Se 2.94
Ca 0.5000 0.5000 0.0000  6 Se 2.93-2.94
Ho 0.0000 0.5000 0.5000  6 Se 2.89
Er 0.5000 0.0000 0.5000  6 Se 2.88
Se 0.2489 0.0000 0.7436  1 Er 2.88, 2 Ho 2.89, 3 Ca 2.93-2.94
Se 0.2530 0.5000 0.2571  2 Er 2.88, 1 Ho 2.89, 3 Ca 2.94
Se 0.7470 0.5000 0.7429  2 Er 2.88, 1 Ho 2.89, 3 Ca 2.94
└──
Now count the lines above that contain the word "crystalline" and give the number alone.
5